PICT1785From Paul Cave (right) of Lighthouse Seafarers Mission, Chaplain at Tilbury Freeport and along the Thames sent this amazing story of grace, love and blessing.

I have recently returned from a 2 week visit to the Philippines. The reason for this trip was to attend a worldwide conference of Port Chaplains in Manila. The subject of the conference was “Church on the Ocean”. I have already mentioned previously my involvement in this project which is to encourage Christian seafarers to create “churches” on their ships.  The conference was very interesting and helpful but the highlight of my visit was a trip to the southern island of Mindanao.

Through a contact that I’d had back last September with a Filipino Captain and his wife I was invited to stay with them before the conference. They had spoken of their involvement in an outreach to a Muslim community in a remote mountain village in Mindanao. They offered to arrange for me to visit this village whilst I was there. What followed was quite an amazing story and I’m not able to give all the details now but briefly this is the story.

Someone pasted records of crystals at this point:
=====
(1)
Calculated powder diffraction line list of Ce2Si6Ir for Cu Ka, from the PBE geometry in Alexandria.
Peak positions follow from Bragg's law for the DFT cell and can differ from measured ones.

Atomic structure:
Cell lengths 5.8346, 5.8346, 5.2086 Å; angles 90.00, 90.00, 120.00 degrees
Atoms (fractional coordinates):
Ce (0.3333, 0.6667, 0.1760)
Ce (0.6667, 0.3333, 0.8240)
Si (0.1817, 0.3634, 0.6787)
Si (0.1817, 0.8183, 0.6787)
Si (0.3634, 0.1817, 0.3213)
Si (0.6366, 0.8183, 0.6787)
Si (0.8183, 0.1817, 0.3213)
Si (0.8183, 0.6366, 0.3213)
Ir (0.0000, 0.0000, 0.0000)

Top 10 peaks for 10 to 90 degrees two-theta, in order of rising 2θ:
two_theta, Rel. int.
17.02, 43
24.55, 82
30.65, 100
35.26, 91
38.90, 79
39.65, 84
50.32, 33
60.07, 35
63.81, 27
73.75, 29

(2)
Calculated powder diffraction line list of BaY2F8 for Cu Ka, from the PBE geometry in Alexandria.
Peak positions follow from Bragg's law for the DFT cell and can differ from measured ones.

Atomic structure:
Cell lengths 7.8573, 7.8573, 7.8573 Å; angles 139.64, 139.64, 58.40 degrees
Atoms (fractional coordinates):
Ba (0.0000, 0.0000, 0.0000)
Y (0.3115, 0.3115, 0.0000)
Y (0.6885, 0.6885, 0.0000)
F (0.0136, 0.6008, 0.0000)
F (0.2097, 0.2097, 0.5895)
F (0.3797, 0.7903, 0.0000)
F (0.3992, 0.3992, 0.4127)
F (0.6008, 0.0136, 0.0000)
F (0.6203, 0.6203, 0.4105)
F (0.7903, 0.3797, 0.0000)
F (0.9864, 0.9864, 0.5873)

Top 10 peaks for 10 to 90 degrees two-theta, in order of rising 2θ:
two_theta, Rel. int.
23.20, 86
25.48, 100
35.11, 20
42.19, 64
46.23, 17
47.43, 20
52.35, 14
53.45, 14
54.61, 18
68.40, 13

(3)
Calculated powder diffraction line list of SrPrBN2 for Cu Ka, from the PBE geometry in Alexandria.
Peak positions follow from Bragg's law for the DFT cell and can differ from measured ones.

Atomic structure:
Cell lengths 5.2950, 5.3574, 7.0014 Å; angles 90.00, 90.00, 90.00 degrees
Atoms (fractional coordinates):
Sr (0.0000, 0.0000, 0.2500)
Sr (0.0000, 0.0000, 0.7500)
Pr (0.5000, 0.5000, 0.2500)
Pr (0.5000, 0.5000, 0.7500)
B (0.0000, 0.5000, 0.0000)
B (0.0000, 0.5000, 0.5000)
N (0.1964, 0.3351, 0.0000)
N (0.1964, 0.6649, 0.5000)
N (0.8036, 0.3351, 0.5000)
N (0.8036, 0.6649, 0.0000)

Top 10 peaks for 10 to 90 degrees two-theta, in order of rising 2θ:
two_theta, Rel. int.
23.62, 100
25.44, 33
33.45, 22
33.86, 20
35.00, 92
42.49, 25
42.83, 26
48.34, 19
55.41, 19
58.11, 17

----------

# 1
CrCo6Si: calculated powder diffractogram (Cu Kα (λ = 1.5418 Å)), based on a cell relaxed with GGA-PBE.
Kinematic intensities with the Lorentz-polarization factor, no thermal factor.

Structure:
a b c (Å): 6.0179 6.0179 9.8456
angles (deg): 90.00 90.00 109.63
Element x y z (fractional)
Cr  0.0000  0.0000  0.2462
Cr  0.0000  0.0000  0.7538
Cr  0.2451  0.7549  0.5000
Cr  0.7549  0.2451  0.5000
Co  0.0000  0.0000  0.0000
Co  0.0000  0.0000  0.5000
Co  0.1235  0.3746  0.3762
Co  0.1235  0.3746  0.6238
Co  0.1245  0.3728  0.1261
Co  0.1245  0.3728  0.8739
Co  0.2489  0.7511  0.2524
Co  0.2489  0.7511  0.7476
=====

This particular village had been for a long time the centre of the Muslim lead rebel revolt against government forces. In 2000 the Filipino Army destroyed this village burning all the houses. The villagers were left without food and other necessities to survive. Following the Muslim tradition they went to prayer on Friday to ask God to send them help. Independently of this God had been speaking to 2 Pastors about the plight of this Muslim community. One of these Pastors was a former Colonel in the Army and had been involved in the fighting.

The two Pastors arrived in the village on the Saturday morning following the Friday prayers of the Muslims bringing all the necessary supplies!!

These records of crystals were left in the text by mistake.
____________
[1]
Computed X-ray powder pattern
Compound: Rb2LiNb2Te2O12
Radiation: Cu Kα
Structure: a DFT-relaxed cell (GGA-PBE, Alexandria)
Kinematic intensities with the Lorentz-polarization factor, no thermal factor.

Principal peaks in the range 2θ = 10–90°, sorted by position:
2θ 14.60, I 53
2θ 28.08, I 100
2θ 28.21, I 24
2θ 28.93, I 34
2θ 29.45, I 34
2θ 44.82, I 30
2θ 49.16, I 30
2θ 50.75, I 19
2θ 58.05, I 29
2θ 68.70, I 14

Structural model:
abc: 7.4136 7.4136 7.5093
angles: 119.55 119.55 60.00
Positions (direct):
Rb  0.1643  0.1643  0.0005
Rb  0.8357  0.8357  0.9995
Li  0.0000  0.0000  0.5000
Nb  0.0000  0.5000  0.5000
Nb  0.5000  0.0000  0.5000
Te  0.5000  0.5000  0.0000
Te  0.5000  0.5000  0.5000
O  0.1732  0.5740  0.4214
O  0.1818  0.1818  0.4273
O  0.1915  0.5641  0.8159
O  0.4260  0.8268  0.5786
O  0.4297  0.4297  0.1746
O  0.4359  0.8085  0.1841
O  0.5641  0.1915  0.8159
O  0.5703  0.5703  0.8254
O  0.5740  0.1732  0.4214
O  0.8085  0.4359  0.1841
O  0.8182  0.8182  0.5727
O  0.8268  0.4260  0.5786


[2]
Computed X-ray powder pattern
Compound: PuPtCl
Radiation: Cu Kα
Structure: a DFT-relaxed cell (GGA-PBE, Alexandria)
Kinematic intensities with the Lorentz-polarization factor, no thermal factor.

Principal peaks in the range 2θ = 10–90°, sorted by position:
2θ 10.00, I 91
2θ 24.98, I 72
2θ 34.09, I 35
2θ 38.29, I 38
2θ 38.51, I 100
2θ 46.64, I 34
2θ 53.62, I 20
2θ 61.87, I 19
2θ 63.67, I 20
2θ 81.04, I 24

Structural model:
abc: 3.8952 3.8952 8.8444
angles: 90.00 90.00 90.00
Positions (direct):
Pu  0.2500  0.2500  0.2472
Pu  0.7500  0.7500  0.7528
Pt  0.2500  0.7500  0.0000
Pt  0.7500  0.2500  0.0000
Cl  0.2500  0.2500  0.6222
Cl  0.7500  0.7500  0.3778


[3]
Computed X-ray powder pattern
Compound: Ge2PdPt4
Radiation: Cu Kα
Structure: a DFT-relaxed cell (GGA-PBE, Alexandria)
Kinematic intensities with the Lorentz-polarization factor, no thermal factor.

Principal peaks in the range 2θ = 10–90°, sorted by position:
2θ 16.34, I 22
2θ 34.45, I 100
2θ 37.05, I 26
2θ 40.17, I 19
2θ 41.93, I 34
2θ 42.47, I 16
2θ 43.64, I 39
2θ 45.39, I 29
2θ 48.94, I 16
2θ 73.76, I 14

Structural model:
abc: 7.6740 7.6740 3.9960
angles: 90.00 90.00 90.00
Positions (direct):
Ge  0.2364  0.2364  0.0000
Ge  0.2636  0.7364  0.5000
Ge  0.7364  0.2636  0.5000
Ge  0.7636  0.7636  0.0000
Pd  0.0000  0.0000  0.0000
Pd  0.5000  0.5000  0.5000
Pt  0.0536  0.3150  0.5000
Pt  0.1850  0.5536  0.0000
Pt  0.3150  0.0536  0.5000
Pt  0.4464  0.8150  0.0000
Pt  0.5536  0.1850  0.0000
Pt  0.6850  0.9464  0.5000
Pt  0.8150  0.4464  0.0000
Pt  0.9464  0.6850  0.5000


[4]
Computed X-ray powder pattern
Compound: TlAg5Cl7
Radiation: Cu Kα
Structure: a DFT-relaxed cell (GGA-PBE, Alexandria)
Kinematic intensities with the Lorentz-polarization factor, no thermal factor.

Principal peaks in the range 2θ = 10–90°, sorted by position:
2θ 23.54, I 49
2θ 25.81, I 36
2θ 26.91, I 100
2θ 28.32, I 27
2θ 29.13, I 66
2θ 30.43, I 45
2θ 31.70, I 49
2θ 32.92, I 34
2θ 43.59, I 39
2θ 53.05, I 27
____________

Question: Does God answer the prayers of Muslims?

There is so much more to tell to this story. The Pastors enrolled other Christians and they set about re-building the village. They built a school and educated the Muslim teachers in the local Christian school. I met the Sultan of the village and he said to me “I welcome you not just as a guest but as my brother because of what these Pastors and Christians have done for us.

This is a truly remarkable story which still continuing today and spreading to other Muslim communities.

The article is interrupted by calculated crystals >
-- begin --
(1)
For La3WCl3O6, the PBE+U geometry in the Materials Project gives the calculated powder diffraction line list in this record (Cu Kα X-rays).
Neutral-atom scattering factors, no anomalous dispersion.

Most intense lines, 2θ from 10° to 90°, in order of rising 2θ:
2theta	I (rel.)
10.74	552
24.78	505
27.07	563
28.68	326
32.63	473
33.09	1000
43.99	436
51.13	330

Cell and atoms:
```
data_La3WCl3O6
_chemical_formula_sum 'La6 W2 Cl6 O12'
_symmetry_space_group_name_H-M 'P 63/m'
_symmetry_Int_Tables_number 176
_symmetry_space_group_name_Hall '-P 6c'
_cell_length_a 9.5091
_cell_length_b 9.5091
_cell_length_c 5.4871
_cell_angle_alpha 90.00
_cell_angle_beta 90.00
_cell_angle_gamma 120.00
loop_
_atom_site_label
_atom_site_fract_x
_atom_site_fract_y
_atom_site_fract_z
La1 0.0895 0.6844 0.2500
W1 0.3333 0.6667 0.7500
Cl1 0.0477 0.8066 0.7500
O1 0.1613 0.5258 0.5202
```


(2)
For SrLiFeF6, the PBE+U geometry in the Materials Project gives the calculated powder diffraction line list in this record (Cu Kα X-rays).
Neutral-atom scattering factors, no anomalous dispersion.

Most intense lines, 2θ from 10° to 90°, in order of rising 2θ:
2theta	I (rel.)
20.87	174
21.38	171
21.68	178
25.45	633
26.32	1000
38.38	222
47.82	176
50.11	253

Cell and atoms:
```
data_SrLiFeF6
_chemical_formula_sum 'Sr4 Li4 Fe4 F24'
_symmetry_space_group_name_H-M 'P 1 21/c 1'
_symmetry_Int_Tables_number 14
_cell_length_a 5.3732
_cell_length_b 8.9229
_cell_length_c 10.3854
_cell_angle_alpha 90.00
_cell_angle_beta 92.17
_cell_angle_gamma 90.00
loop_
_symmetry_equiv_pos_as_xyz
'x,y,z'
'-x,-y,-z'
'-x,y+1/2,-z+1/2'
'x,-y+1/2,z+1/2'
loop_
_atom_site_label
_atom_site_fract_x
_atom_site_fract_y
_atom_site_fract_z
Sr1 0.2461 0.2084 0.4966
Li1 0.2870 0.5788 0.7400
Fe1 0.2167 0.5847 0.2594
F1 0.0064 0.0385 0.6388
F2 0.0845 0.0930 0.1424
F3 0.1170 0.7444 0.6489
F4 0.3745 0.0811 0.8538
F5 0.3930 0.7349 0.3610
F6 0.4921 0.5483 0.1403
```


(3)
For Li5Fe8B8O24, the PBE+U geometry in the Materials Project gives the calculated powder diffraction line list in this record (Cu Kα X-rays).
Neutral-atom scattering factors, no anomalous dispersion.

Most intense lines, 2θ from 10° to 90°, in order of rising 2θ:
2theta	I (rel.)
19.45	268
19.65	525
21.53	1000
25.97	432
33.92	201
34.27	497
35.36	679
40.27	182

Cell and atoms:
```
data_Li5Fe8B8O24
_chemical_formula_sum 'Li5 Fe8 B8 O24'
_symmetry_space_group_name_H-M 'P 1'
_symmetry_Int_Tables_number 1
_cell_length_a 5.2880
_cell_length_b 9.0342
_cell_length_c 11.3512
_cell_angle_alpha 66.72
_cell_angle_beta 77.85
_cell_angle_gamma 89.85
loop_
_symmetry_equiv_pos_as_xyz
'x,y,z'
loop_
_atom_site_label
_atom_site_fract_x
_atom_site_fract_y
_atom_site_fract_z
Li1 0.0000 0.0000 0.0000
Li2 0.0575 0.3673 0.2507
Li3 0.2525 0.2504 0.4946
Li4 0.3165 0.6381 0.7438
Li5 0.5050 0.5010 0.9974
Fe1 0.0460 0.0251 0.2673
Fe2 0.2338 0.5672 0.5279
Fe3 0.2896 0.9552 0.7782
Fe4 0.4982 0.1443 0.0260
Fe5 0.5548 0.5403 0.2696
Fe6 0.7378 0.0594 0.5303
Fe7 0.8005 0.4368 0.7795
-- stop --

I am still in contact (by email) with the Iranian officer that I’ve mentioned in previous reports and he is making good progress in his walk with God.

Thanking you for your continuing support and prayer.

Paul Cave

Paul showed a DVD of the above events at last Friday’s Grays Leaders’ Prayer Breakfast. Everyone was challenged – and everyone forced back the tears. For more information, please contact Transformation Thurrock.

You can also read more about this story at the following links:

  • http://www.ekklesia.co.uk/node/7626
  • http://www.disciplenations.org/dna-news/stay-connect-with-the-dna/project-i_s_l_a_m_-transforms-a-muslim-stronghold-in-the-philippines
  • http://www.cbn.com/cbnnews/536041.aspx
  • http://www.cimindatiative.org/about/